
What makes c4 and c5 good??


Obviously e4/5 and d4/5 allows scope for you bishop, and room for you queen to breath as well as control of two central squares. The c file openings only get 1 central square, and do not create scope. Why do we still continue to play it though??


I don't :)


haha, I have played it once or twice.


Well, for white, it is named the English opening, which allows you to later push d4 and e4, creating a huge center. For black, it is named the sicilian, which is one of the best moves for black, almost equalizing the position.


how does it equalize the position???


It's a really good question, and the answer lies in the history of chess openings.

For a long long time people played e4 to get the fastest mating net possible(Bc4, Nf3-e5, Qf5 or Qh5). And black played symmetrically...

Then, white players found out that moving d4 prevents black's e5, possibly getting central control and more probably forcing black to play e6, creating development problems for at least one bishop for black player.

Then, white understood that d4 can be met by either d5 or Nf6, restricting their own e pawn as well! Furthermore, if white plays Nc3 to strengthen this square, then the c pawn is blocked. Further further more, the blocked c pawn also blocks queen's access to d1-a4 diagonal. People understood that using this diagonal, there are tactical and strategical options. To benefit from the positional gain, people also discovered 1.Nf3 d5 2. c4 or directly 1.c4. This move gives queen d1-a4 diagonal, and also when Nc3 is played, c pawn won't be blocked.

Further further further more, these cheesy tactics starting with c4 mostly converge on c6 square in the enemy territory, forcing enemy to put a pawn rather than a knight at this square, for example:

I think that's why c4, and also Nf3 are good alternatives to play. This chess opening history thing goes until white plays 1.a3 and 1.h3, and even justifies those moves as well. So today, it's fine whatever you move in the first move, so long as you have a plan.Cool



_Here the article breaks off for records of molecules_
# 1
The following is a quantum chemistry calculation of one molecule with the formula C19H22N2O4, from the OMol25 dataset.

Geometry as ORCA input:
```
! RIJCOSX wB97M-V def2-TZVPD def2/J DEFGRID3
* xyz 0 1
O 1.296 1.673 1.594
C 1.728 1.238 0.556
O 0.999 0.996 -0.585
C -0.411 0.720 -0.341
C -0.629 -0.622 0.442
C -2.066 -0.961 0.044
C -3.360 -1.099 0.820
C -4.390 -0.547 -0.234
C -3.793 0.553 -1.161
C -2.503 -0.006 -1.903
C -1.190 0.852 -1.735
N -2.216 -1.363 -1.381
O -1.264 -1.962 -1.865
C -3.355 -2.248 -1.707
C -4.705 -1.727 -1.175
O -5.554 -1.389 -2.304
C 3.129 0.794 0.548
C 3.615 -0.091 -0.368
N 4.956 -0.314 -0.060
C 5.318 0.455 1.040
C 6.552 0.533 1.732
C 6.631 1.371 2.857
C 5.510 2.152 3.260
C 4.295 1.976 2.611
C 4.217 1.133 1.505
H -0.891 1.518 0.209
H -0.594 -0.500 1.514
H 0.087 -1.394 0.157
H -2.216 0.106 0.152
H -3.379 -0.425 1.695
H -3.581 -2.111 1.201
H -5.330 -0.213 0.238
H -4.463 0.839 -1.952
H -3.506 1.408 -0.557
H -2.748 -0.085 -2.954
H -0.510 0.479 -2.468
H -1.423 1.858 -1.986
H -3.170 -3.199 -1.207
H -3.415 -2.448 -2.780
H -5.209 -2.516 -0.625
H -5.083 -0.798 -2.941
H 3.028 -0.568 -1.142
H 5.588 -0.923 -0.604
H 7.431 0.028 1.399
H 7.582 1.436 3.375
H 5.545 2.826 4.111
H 3.446 2.564 2.974
*
```

molar mass = 342.39 g/mol
SMILES string = O=C(O[C@H]1C[C@@H]2C[C@@H]3C[C@@H](C1)[N@@+]2([O-])C[C@@H]3O)c1c[nH]c2ccccc12
energy relative to the best compared isomer or geometry (same formula, charge and spin) = 157.8 kcal/mol
E_LUMO = 0.6 eV


# 2
The following is a quantum chemistry calculation of C16H17CaN3O7S4Se as an isolated structure, from the OMol25 dataset.

Geometry as ORCA input:
```
! RIJCOSX wB97M-V def2-TZVPD def2/J DEFGRID3
* xyz -2 1
Ca 1.134 -0.115 -1.732
O -0.429 -1.233 -5.188
C -0.390 0.002 -4.473
O 0.699 0.229 -3.830
C -1.648 0.137 -3.590
O -1.467 -0.397 -2.275
C -1.585 -1.812 -2.150
C -0.961 -2.291 -0.820
O -1.501 -3.236 -0.239
O 0.093 -1.674 -0.464
H 0.508 -1.413 -5.344
H -1.810 1.201 -3.430
H -2.527 -0.313 -4.067
H -2.639 -2.106 -2.173
H -1.063 -2.304 -2.978
S 1.181 2.830 -1.703
S 0.050 3.583 -3.306
S 0.731 2.828 -5.102
S -0.601 1.418 -5.831
C -3.471 3.016 2.946
N -2.584 1.887 3.046
C -1.962 1.291 1.973
Se -2.002 1.674 0.227
N -1.235 0.255 2.505
C -1.399 0.176 3.868
C -0.898 -0.684 4.826
C -1.286 -0.471 6.147
C -2.145 0.567 6.493
C -2.652 1.433 5.526
C -2.266 1.223 4.216
H -3.425 3.373 1.919
H -3.149 3.808 3.625
H -4.497 2.726 3.184
H -0.702 -0.357 1.900
H -0.234 -1.494 4.556
H -0.910 -1.131 6.919
H -2.428 0.703 7.529
H -3.324 2.240 5.788
O 3.085 -0.110 -0.264
C 3.755 -0.799 -1.047
C 5.200 -1.195 -0.784
C 5.626 -1.741 -2.136
C 4.294 -1.909 -2.884
O 4.207 -2.516 -3.935
N 3.274 -1.283 -2.213
H 5.192 -1.962 -0.006
H 5.767 -0.344 -0.410
H 6.165 -2.687 -2.118
H 6.226 -1.024 -2.699
*
```

molar mass = 610.63 g/mol
energy relative to the best compared isomer or geometry (same formula, charge and spin) = 39.7 kcal/mol
E_LUMO = 3.9 eV


# 3

ok, thank you very much, that was interesting and helpful Laughing


people play 1.c4 or 1.Nf3 generally to avoid some of black responses.

catch is  , with 1.c4 white can avoid the popular Nimzo-Indian but now he must know how to reply to 1.c4 e5 and to some other options black now have . there's no such thing as an ultimate opening . each opening has it's own strengths and weakness ...


1.c4 controls square d5 and prevents 1...d5. Opening space for piece development is not an issue, as the light-squared bishop is usually fianchettoed, in order to exert control over square - surprise! - d5. Furthermore by keeping both central pawns behind, white can later make many different strategical choices about the ensuing pawn structure.

1...e5 certainly is the critical response, but practice shows that in the reversed Sicilians white has chances to play for an opening advantage as in any other good opening.

[Quantum chemistry results, as found in the file]
- - -
ORCA calculation (ωB97M-V/def2-TZVPD) on an isolated molecule of C9H17NO.

Last columns: bonded neighbours and bond lengths (Å).
Geometry (Å):
1 O 1.5740 1.2061 -0.5548  N2 1.478, C3 1.450
2 N 0.3819 0.3442 -0.4106  O1 1.478, C10 1.469, C11 1.489
3 C 2.1669 1.1693 -1.8780  O1 1.450, H12 1.104, H13 1.060, H14 1.117
4 C -1.7309 -1.0237 -1.2092  C6 1.635, C7 1.593, H15 1.100, H16 1.116
5 C 0.4489 0.4943 2.2168  C8 1.591, C9 1.587, H17 1.046, H18 1.063
6 C -1.9062 0.5438 -0.7785  C4 1.635, C10 1.514, H19 1.174, H20 1.079
7 C -0.4465 -1.8121 -0.6928  C4 1.593, C11 1.598, H21 1.054, H22 1.083
8 C -0.5621 1.5093 1.5259  C5 1.591, C10 1.542, H23 1.097, H24 1.100
9 C 0.6714 -0.9457 1.5884  C5 1.587, C11 1.539, H25 1.070, H26 1.067
10 C -0.8667 0.5972 0.3207  N2 1.469, C6 1.514, C8 1.542, H27 1.066
11 C 0.7291 -1.0275 0.0522  N2 1.489, C7 1.598, C9 1.539, H28 1.121
12 H 3.2613 1.2368 -1.7510  C3 1.104
13 H 2.0077 0.1954 -2.2635  C3 1.060
14 H 1.9064 2.0856 -2.4613  C3 1.117
15 H -1.6067 -0.9748 -2.3010  C4 1.100
16 H -2.5641 -1.6873 -0.8774  C4 1.116
17 H 0.3184 0.4244 3.2525  C5 1.046
18 H 1.3853 0.9605 2.0286  C5 1.063
19 H -1.8419 1.2732 -1.6965  C6 1.174
20 H -2.9057 0.7012 -0.4026  C6 1.079
21 H 0.0530 -2.0887 -1.5790  C7 1.054
22 H -0.6954 -2.7393 -0.1920  C7 1.083
23 H -1.4287 1.5695 2.1962  C8 1.097
24 H -0.1155 2.4811 1.2690  C8 1.100
25 H -0.1569 -1.5352 1.9225  C9 1.070
26 H 1.5548 -1.3329 2.0437  C9 1.067
27 H -1.3343 -0.1531 0.9154  C10 1.066
28 H 1.7026 -1.4714 -0.2839  C11 1.121

Properties
- SMILES: CON1[C@H]2CCC[C@H]1CCC2
- HOMO-LUMO gap: 0.3334 hartree
- Highest occupied orbital energy: -0.29463 hartree


<1>
Computed, not measured: a cluster of 2 separate species, H4S2 in total, with the ωB97M-V functional and the def2-TZVPD basis.

Atoms and positions in Å:
S -0.63 -0.84 -1.40
H -0.19 0.37 -1.00
H -1.91 -0.46 -1.29
S 0.57 0.81 1.38
H 1.89 0.59 1.21
H 0.27 -0.47 1.10

Its HOMO energy is -9.5 eV. The frontier orbital gap comes out at 10.4 eV.



<2>
Computed, not measured: a cluster of 2 separate species, H4S2 in total, with the ωB97M-V functional and the def2-TZVPD basis.

Atoms and positions in Å:
S 5.44 -0.50 -0.20
H 4.36 -1.29 -0.38
H 4.68 0.59 -0.06
S -5.15 0.37 0.74
H -3.92 0.82 0.43
H -5.40 0.01 -0.53

Its HOMO energy is -9.8 eV. The frontier orbital gap comes out at 10.8 eV.



In terms of stability, <2> leads; the second structure lies 5.0 kJ/mol higher.
- - -

And no, moves like 1.a3 or 1.h3? will never have relevance to opening theory. The best moves are 1.c4, 1.d4, 1.e4 and 1.Nf3. Also not bad is 1.g3, because black can hardly avoid transposition into an Englisch, Catalan, Tarrasch, or another respectable opening. The rest is substandard and cannot be used on a regular basis on master level and above.



RetiFan hat geschrieben:



I've only now been looking at that opening fragment here. So black made a mistake on move 5 (?), which was exploited by a strong white move 6 (!), and yet "the position is about equal"? How would that be possible? If the position is equal, then either black's play was good, or white's play was as bad and deserves a question mark, too.

Of course the moves and the assessments have several flaws. First of all, on move 4 and 5 white should have taken on d5. Instead he hands the centre to black, who can make use of this in several different ways.  5...dxc4 is not at all a mistake. White has to make some queen moves to win back the pawn. That said, 5...e4 might be stronger. Also the reversed Benoni after 5...d4 offers black a pleasant position.

And why did black play 6.Bd7 and not Bd6? He simply squandered a full tempo here. 


It is a good question, but I don't think anyone has answered it well yet.

Let's compare 1.d4 d5 to 1.e4 e5.  After the latter, White commonly plays 2.Nf3, which is a threat to capture the black e-pawn, and to which Black has to respond.  After 1.d4 d5, however, 2.Nc3 is not effective in the same way, because the queen defends the pawn.  Since straightforward piece play is ineffective at creating threats in the center, White must hit at d5 with a pawn first -- hence, c4.

The same principle applies to the assorted move orders of the flank openings.  1.c4 is contesting control of d5, without committing to where White will put his d-pawn.  Converse examples from the black side (e.g., Benoni 1.d4 Nf6 2.c4 c5) have a similar rationale as well.


here is typical low level c4 game 10 0 

had black not 10... Na5 I would have tried to develop my dark bishop and rook on a1 to c1 ??

-- Inserted here: molecular data --
~~~
# 1
20
Properties=species:S:1:pos:R:3:nbo_charge:R:1 method="wB97M-V/def2-TZVPD" total_charge=+1 homo_ev=-12.685 total_energy_ha=-344.65871 homo_lumo_gap_ev=9.358
C -1.7162 2.1790 0.0064 -0.619
C -0.2486 1.9909 0.1163 -0.475
C 0.0406 0.5456 0.1345 0.239
C 0.6361 0.0453 1.2478 -0.208
N 1.3160 -1.2759 1.1456 -0.738
N 0.1572 -0.1105 -1.0930 -0.812
H -2.3614 1.6962 0.8113 0.231
H -2.1910 1.6303 -0.9583 0.194
H -1.9909 3.2807 -0.2185 0.244
H 0.0012 2.5687 1.0991 0.243
H 0.3084 2.5917 -0.6574 0.252
H 0.6548 0.3525 2.2294 0.229
H 1.5948 -1.8456 2.0767 0.470
H 0.8242 -1.9777 0.4885 0.461
H 2.1534 -0.9656 0.6363 0.446
H 0.3035 -1.0687 -1.1480 0.394
H -0.2830 0.3622 -1.9123 0.420
H 0.7365 -3.7678 -1.6817 0.498
H -0.4324 -3.1572 -1.1659 0.485
O 0.4968 -3.0743 -1.1567 -0.954

---

# 2
18
Properties=species:S:1:pos:R:3:nbo_charge:R:1 method="wB97M-V/def2-TZVPD" homo_ev=-7.493 smiles="CN1CN=c2sccc2=C1Cl" total_energy_ha=-1238.75555 homo_lumo_gap_ev=7.981
C 1.1064 0.8119 -2.1010 -0.236
C 2.0385 0.0026 -2.5641 -0.360
C 0.5912 0.3918 -0.8525 -0.315
C -0.6154 0.5833 -0.2777 0.322
C 1.3714 -0.7889 -0.3355 0.121
C 0.2709 -0.5701 1.5711 -0.064
C -2.1937 -0.0530 1.6085 -0.399
N 1.1894 -1.3050 0.7969 -0.466
N -0.9151 0.1240 0.9703 -0.418
S 2.3980 -1.3964 -1.5675 0.357
Cl -1.9038 1.6031 -0.9931 -0.017
H 1.1430 1.8461 -2.5144 0.239
H 2.5706 0.1895 -3.5052 0.235
H -0.1527 -1.3769 2.3145 0.193
H 0.8285 0.1375 2.2718 0.178
H -2.2794 -0.0629 2.6705 0.217
H -2.7969 0.7411 1.1981 0.222
H -2.6510 -0.8778 1.3092 0.192

* * * * *

Here is the ion C28H24F4N with charge +1 from the Open Molecules 2025 dataset. Energies are from ωB97M-V with the def2-TZVPD basis set.

The geometry in XYZ format:
```
57
Properties=species:S:1:pos:R:3:forces:R:3
F -3.75779 4.88376 1.67875 0.13 -1.36 -0.48
C -3.74760 3.53092 1.45984 0.52 0.29 0.40
C -4.94209 2.84371 1.57375 -0.43 0.56 -0.21
C -4.88000 1.47085 1.42596 -0.15 -0.86 0.38
F -6.04016 0.77191 1.61845 1.03 0.44 -0.45
C -3.68584 0.77002 1.19833 -0.81 0.77 -0.05
C -2.48514 1.48658 1.11189 -0.49 -0.89 0.05
C -1.19021 0.66297 1.02589 1.02 -1.21 -0.47
C 0.00891 1.49895 0.80472 0.79 -0.17 0.84
C 1.16112 0.90804 1.13399 -0.68 -0.26 -0.55
C 2.38042 1.58932 1.37700 2.27 1.07 -0.04
C 3.59127 0.85560 1.47777 -0.41 0.80 -0.34
C 4.78550 1.55792 1.55397 0.45 -0.06 0.39
F 5.96258 0.85467 1.66992 -1.19 0.76 -0.24
C 4.83627 2.95730 1.58618 0.15 -0.25 0.09
C 3.63045 3.64911 1.56039 -0.39 0.39 0.38
F 3.63654 5.01743 1.69545 0.12 -1.42 -0.27
C 2.39928 3.00198 1.48785 0.66 -0.48 -0.28
C -2.52066 2.88169 1.23412 -0.09 0.35 -0.13
H -5.89912 3.37875 1.72624 0.76 -0.50 0.03
H -3.72834 -0.30047 1.03484 -0.10 0.04 0.31
H -1.07813 -0.06953 1.91527 -0.23 1.59 -1.23
H -0.02273 2.51306 0.38338 -0.13 -0.44 0.71
H 1.17613 -0.19272 1.12199 0.00 0.34 0.77
H 3.56513 -0.22627 1.44401 0.17 0.05 0.02
H 5.78552 3.48298 1.69165 -0.29 -0.18 -0.05
H 1.48082 3.57631 1.48093 0.17 0.01 0.10
H -1.62743 3.49773 1.13730 -0.30 -0.17 0.24
~~~
-- Here the entry continues --

I like c4 for its solid pressure on the center and flexablity.  Unlike coming with d4 straight away I find many more mid game goals are available. 


ok, thanks to all who have answered